With contributions and additional material from The Grey Council (which includes Raymond Buckland, Raven Grimassi, Patricia Telesco, and Morning Glory Zell-Ravenheart), this book is marketed as, “…the book Merlin would have given a young Arthur...if only it had existed.”
# What comes next are quantum chemistry results, not part of the entry
┌──
C31H57N2O5P3SiTi as an isolated structure, computed with wB97M-V/def2-TZVPD.

Properties
<S²>: 0.7549
Highest occupied orbital energy (alpha / beta): -10.2097 / -10.5602 eV
Maximum force: 0.0136 hartree/bohr
2S+1: 2
Total charge: +1
Orbital gap (alpha / beta): 6.943 / 7.151 eV
Energy relative to the best compared isomer or geometry (same formula, charge and spin): 11.0 kcal per mole

Structure (XYZ):
```
100
Properties=species:S:1:pos:R:3:forces:R:3
Ti 0.924963 -0.734832 0.094483 -0.41 -0.07 0.56
C 3.148493 -1.514944 3.528250 0.01 -0.02 -0.04
P 1.976636 -0.479607 2.594535 -0.13 0.00 -0.12
C 0.470526 -0.566622 3.609967 0.04 0.02 0.02
C 2.635470 1.205406 2.926381 0.00 -0.01 0.01
C 2.163065 2.200824 1.868679 -0.01 0.00 -0.03
P 2.363794 1.486765 0.196277 0.05 -0.02 0.01
C 2.025146 2.903962 -0.893386 -0.02 -0.01 -0.02
C 4.166199 1.255691 0.027305 0.01 0.01 -0.01
H 2.847849 -2.559697 3.486624 -0.01 -0.01 0.00
H 3.163003 -1.193161 4.570758 0.00 0.00 0.00
H 4.153100 -1.422119 3.117148 0.01 -0.01 0.02
H 0.726730 -0.530549 4.670259 0.01 -0.01 0.00
H -0.054609 -1.498180 3.395419 0.00 -0.01 0.01
H -0.175374 0.279458 3.365901 -0.01 -0.02 0.01
H 3.725845 1.135365 2.923924 0.00 -0.01 0.00
H 2.333730 1.523524 3.926149 0.02 0.00 0.01
H 2.714290 3.142025 1.935453 0.00 0.00 0.01
H 1.101227 2.421985 2.005286 -0.01 0.01 -0.02
H 2.615459 3.771078 -0.592797 0.01 0.00 0.01
H 0.963008 3.144416 -0.830072 0.02 0.00 0.00
H 2.265325 2.650900 -1.926235 0.01 0.01 0.00
H 4.720537 2.156529 0.295620 -0.01 0.01 0.00
H 4.394448 0.999905 -1.008629 0.01 0.00 0.00
H 4.502292 0.427284 0.652225 0.00 0.00 0.00
C -2.357931 -0.739484 -2.098708 -0.03 -0.01 0.01
C -1.961031 -1.937872 -1.293933 -0.03 0.00 -0.01
C -2.772274 -3.053256 -1.191567 -0.01 0.03 0.00
C -2.344282 -4.135964 -0.426348 0.02 -0.01 0.01
C -1.125987 -4.098099 0.215126 -0.05 -0.02 0.02
C -0.331228 -2.958918 0.048401 0.11 0.02 -0.01
N -0.761133 -1.916862 -0.694426 0.06 0.01 0.00
N 0.910330 -2.722720 0.597582 -0.02 0.28 -0.10
Si 2.155129 -3.945857 0.522412 0.03 0.00 -0.04
C 3.800990 -3.068833 0.346745 0.00 -0.03 -0.01
C 1.883443 -4.971261 -1.022368 -0.02 -0.01 0.00
C 2.183980 -5.086867 2.000938 -0.01 0.01 0.02
H -1.784158 -0.698678 -3.026755 0.01 0.00 0.01
H -2.175752 0.174700 -1.534397 0.00 0.00 0.00
H -3.414637 -0.781003 -2.356900 0.00 0.00 -0.01
H -3.727207 -3.071882 -1.697191 0.00 0.00 0.00
H -2.977518 -5.008532 -0.326753 0.00 0.00 0.00
H -0.784970 -4.912134 0.839078 0.00 0.00 0.00
H 3.789170 -2.358094 -0.484175 -0.02 0.00 -0.01
H 4.585199 -3.802306 0.142893 0.01 0.01 0.01
H 4.089641 -2.529201 1.246094 0.02 0.04 0.04
H 1.619990 -4.342082 -1.876954 0.02 0.01 0.00
H 1.087321 -5.707621 -0.902884 0.00 0.01 0.00
H 2.797390 -5.514798 -1.273319 0.00 -0.01 0.00
H 2.474695 -4.582359 2.923119 0.00 -0.01 0.00
H 2.895063 -5.899674 1.834097 0.00 0.00 0.00
H 1.204788 -5.538870 2.172439 0.00 -0.01 -0.01
C -3.206205 4.140851 0.837017 0.03 -0.05 0.01
C -1.790662 4.120577 0.279714 -0.01 0.04 0.02
└──
Zell-Ravenheart has attempted a truly comprehensive introduction to the world of magic and Paganism, and he's done a pretty good job. I like the boy-scout manual feel of the book, mixing life skills, woodland skills and occult skills. I like the generalized, tradition-less version of occult arts as well. Although I think that some discussion of where the various ideas come from would have been useful. The ideas tend to be presented as though they were simply a 'tradition of wizardry', with no real discussion of the fact that the 'wizardry' is being concocted right here and now.
Wizardry is presented as having plenty of commerce with the God/dess, but there is no instruction at all on how to approach those powers, except in a ritual 'energies to be used' sense. To me, all this 'magic' without a real spiritual relationship with the world is little more valuable than Harry Potter itself - a pleasant pass-time. Speaking of Mr. Potter, this book I clearly marketed to his fans. The cover design, title, and references to Harry Potter both on the cover and throughout the entire book clearly indicate this. There is a possibility that children will want the Grimoire in order to fly on brooms and change enemies into toads, or parents will think its somehow related to the Potter series, never realizing that it is teaching the children things that they may not wished their children exposed to for a myriad of different reasons.
........
[1]
The following is a quantum chemistry calculation of a cluster of 3 separate species, C2H12N2O2 in total at a distorted geometry, from the OMol25 dataset.

Last columns: bonded neighbours and bond lengths (Å).
Cartesian coordinates (Å):
1 N 0.22042 -1.09494 -1.70515  C2 1.469, H5 1.015, H6 0.992
2 C 0.06243 -1.86860 -0.46687  N1 1.469, C3 1.518, H7 1.089, H8 1.100
3 C 0.61025 -1.12960 0.74030  C2 1.518, N4 1.475, H9 1.090, H10 1.092
4 N -0.36126 -0.66115 1.74576  C3 1.475, H11 1.013, H12 0.999
5 H -0.57521 -0.47533 -1.81871  N1 1.015
6 H 0.45306 -1.57266 -2.54331  N1 0.992
7 H 0.49698 -2.85723 -0.60522  C2 1.089
8 H -1.01154 -2.07106 -0.33842  C2 1.100
9 H 1.38284 -1.69614 1.25973  C3 1.090
10 H 1.15552 -0.29147 0.30163  C3 1.092
11 H -0.98388 -1.39977 2.05108  N4 1.013
12 H 0.16456 -0.40017 2.55426  N4 0.999
13 O 0.98067 2.18660 -2.34782  H14 0.967, H15 0.976
14 H 0.93022 1.22066 -2.33855  O13 0.967
15 H 0.89279 2.43239 -1.40710  O13 0.976
16 O -1.27883 2.01906 2.01109  H17 0.963, H18 0.955
17 H -2.12331 2.35038 1.68646  O16 0.963
18 H -1.19611 1.11890 1.70196  O16 0.955

Its multiplicity is 1. The HOMO energy is -9.6 eV. As for the relative energy (zero: lowest compared OMol25 entry of this formula, charge and spin): 63.8 kJ/mol. The SMILES is NCCN.O.O. The calculation puts the lowest unoccupied orbital energy at 0.80 eV. The calculation puts the orbital gap at 10.39 eV.



[2]
The following is a quantum chemistry calculation of a cluster of 3 separate species, C2H12N2O2 in total at a distorted geometry, from the OMol25 dataset.

Last columns: bonded neighbours and bond lengths (Å).
Cartesian coordinates (Å):
1 N 0.74600 -0.38830 2.64840  C2 1.476, H5 1.022, H6 1.019
2 C -0.47587 -0.86463 1.97103  N1 1.476, C3 1.599, H7 1.089, H8 1.077
3 C -0.30999 -0.52275 0.41807  C2 1.599, N4 1.398, H9 1.094, H10 1.116
4 N 0.64752 -1.19574 -0.34639  C3 1.398, H11 1.019, H12 1.024
5 H 0.74491 -0.95423 3.49959  N1 1.022
6 H 0.54547 0.55769 2.96947  N1 1.019
7 H -1.40094 -0.35049 2.22755  C2 1.089
8 H -0.61251 -1.92422 2.10873  C2 1.077
9 H -1.27864 -0.69761 -0.05938  C3 1.094
10 H 0.02042 0.53730 0.52760  C3 1.116
11 H 0.73969 -0.95267 -1.33173  N4 1.019
12 H 1.52242 -1.38497 0.15188  N4 1.024
13 H -4.33283 -0.55470 -3.23094  O15 0.959
14 H -3.38398 -1.55830 -2.73012  O15 0.969
15 O -3.52637 -0.60021 -2.71373  H13 0.959, H14 0.969
16 H 3.16914 3.38988 -1.32196  O18 0.963
17 H 4.03863 3.77341 -2.55170  O18 0.949
18 O 3.14695 3.69054 -2.23636  H16 0.963, H17 0.949

Its multiplicity is 2. As for the net charge: +1. The HOMO energy (spin up / spin down) is -13.9 / -13.9 eV. As for the relative energy (zero: lowest compared OMol25 entry of this formula, charge and spin): 65.6 kJ/mol. As for the expectation value of S²: 0.755. The calculation puts the lowest unoccupied orbital energy (spin up / spin down) at -3.33 / -8.44 eV. The calculation puts the orbital gap (spin up / spin down) at 10.56 / 5.45 eV.



[3]
........
Overall, the Grimoire is more a guide for Zell-Ravenheart's eclectic brand of "Wizardcraft" than anything else. He melds Wicca, Ceremonial Magic, Shamanism, and pieces of other disciplines into one hodgepodge of ritual. (In my opinion, each of these different systems should have been recognized, and given their own sections.) This was done throughout the book, and when he did devote a chapter to a specific system, he mixed pieces of other systems with it.
The book is inconsistent in its style as well. The reading level varies anywhere from 4th grade to 12th grade, it makes analogies that would not be understood by today's child and the quotes from fantasy novels as authorities. He also takes bits and pieces of religious writing and scripture out of context to support his statements.
What comes next are molecular data, not part of the entry
'''
# 1
Below is C3H3N3O2 in the gas phase at a distorted geometry, with properties calculated with the ωB97M-V functional and the def2-TZVPD basis.

Output
- SMILES = O=C1C=NN=CON1
- ΔE to the lowest compared entry with this formula, charge and spin (kcal per mole) = 154.2

Each line ends with the Löwdin charge.
Atoms and positions in Å:
H -0.71865 1.17143 1.74123  0.2267
C -0.04540 1.23356 -1.30208  -0.2367
C 0.57230 -1.32444 -0.02846  -0.0829
H 0.87089 -2.35227 0.40090  0.1338
O -0.62373 -0.94276 2.23221  0.1083
C -0.24909 -0.54729 1.16625  -0.3770
H -0.19321 2.25332 -1.74451  0.1469
N -0.70903 0.72896 0.65198  0.0253
N 0.66641 -1.13471 -1.23298  0.0624
O 0.23650 1.52025 -0.00885  -0.0854
N 0.25289 0.13956 -1.87598  0.0787

=====

# 2
Below is 2 unconnected molecules or ions with the total composition H3S3, with properties calculated with the ωB97M-V functional and the def2-TZVPD basis.

Output
- charge = -1
- ΔE to the lowest compared entry with this formula, charge and spin (kcal per mole) = 1.6

Each line ends with the Löwdin charge.
Atoms and positions in Å:
H -0.16995 1.82796 -1.90206  -0.2729
S -1.01936 0.87582 -1.47610  -0.0146
S 0.45426 -0.38562 2.38463  0.2130
H 1.74498 -0.04464 2.45482  -0.2918
S 0.43586 -0.57401 -0.99940  -0.2517
H 0.49285 -0.44236 0.90127  -0.3820

=====

# 3
Below is 2 unconnected molecules or ions with the total composition C10H17O3S at a distorted geometry, with properties calculated with the ωB97M-V functional and the def2-TZVPD basis.

Output
- charge = -1
- ΔE to the lowest compared entry with this formula, charge and spin (kcal per mole) = 44.8

Each line ends with the Löwdin charge.
Atoms and positions in Å:
H -0.25884 -3.41014 -0.84951  0.0562
H -1.66594 2.47299 -1.05854  0.1020
S -0.76405 0.11337 0.00809  0.9592
H 1.97533 -0.35217 1.98643  0.1312
C -1.03541 1.45850 -1.30606  -0.2464
H 1.25687 1.32719 0.40459  0.1391
H -0.08966 -4.57136 -2.11315  0.0773
C -1.34277 -2.89313 -3.44258  0.0069
H -1.57715 0.97550 -2.16312  0.0374
C 1.38129 1.24453 3.32689  -0.1839
H -0.16316 1.51228 -1.91336  0.0076
C 1.08980 0.29482 2.23493  -0.2331
H -1.10446 1.77207 2.15412  0.0922
C 0.70885 2.67216 2.90379  -0.1593
H 1.36072 -3.30676 -1.51026  0.1094
O 1.01259 -0.70760 -1.83071  -0.1124
O -1.95631 0.01935 0.90424  -0.5893
H 2.54597 1.40006 3.45732  0.1307
C 0.20266 -1.04254 -2.70648  -0.7985
H 0.41377 -0.43099 2.61027  0.0884
C 0.40548 1.14056 1.14320  -0.4504
H -1.85817 -2.29737 -4.21435  0.0559
C 0.24148 -3.53424 -1.80293  -0.1098
C -0.27839 -2.50851 -2.74036  -0.2899
H -1.88324 -3.85636 -3.40952  0.0506
O -0.29309 -0.36176 -3.55903  -0.0203
H -0.58332 3.07492 1.10570  0.1275
H 1.41295 3.38268 2.55107  0.0758
H 0.17535 3.18277 3.76456  0.1103
H 0.90516 0.96499 4.26862  0.0913
C -0.23433 2.26421 1.79613  -0.2557

=====

# 4
Below is 6 unconnected molecules or ions with the total composition C38H73F9N7O9 at a distorted geometry, with properties calculated with the ωB97M-V functional and the def2-TZVPD basis.

Output
'''
~review by: Lisa Mc Sherry
Author: Oberon Zell-Ravenheart, The Grey Council
New Page Books, 2004
pp. 372, $18.99